Turkey: Where Will Repression End?

Copenhagen, 7 November 2016 – EuroMed rights expresses utmost concern after several members[1] from the Peoples’ Democratic Party (HDP) were arrested on 4 November, on charges alleging support of terrorist activities.

Amongst those arrested are two HDP co-chairs Figen Yüksekdağ and Selahattin Demirtaş, both democratically elected leaders and our trusted and valued interlocutors.

Other members of Turkey’s Parliament from the HDP were also arrested. EuroMed Rights deplores this, as in a democratic system, MPs represent people’s sovereignty, particularly so given that HDP is the third political party in Turkey’s Parliament.

These arrests come in a context of continued severe crackdown that the Turkish authorities are engaging against a very wide spectrum of Turkey’s society, including human rights activists, peaceful demonstrators, political opponents, journalists, academics and intellectuals…

(Unrelated to this entry: quantum chemistry results)
'''
1.
This record from the Open Molecules 2025 dataset describes a structure of composition C26H22BrN5O2S2Tc. The level of theory is ωB97M-V/def2-TZVPD.

Each line ends with the Mulliken charge.
Atoms and positions in Å:
Tc: -0.0640 -0.2968 -0.0153  -0.95
S: 3.0391 -0.2170 3.2843  -0.08
C: 3.3063 -1.6516 2.3794  -0.55
C: 2.4171 -1.8025 1.3595  -1.02
C: 1.4789 -0.7318 1.2843  0.93
C: 1.7130 0.1977 2.2870  1.10
C: 0.8811 1.3840 2.3200  0.88
C: 0.9379 2.4064 3.2536  -1.02
C: 0.0662 3.4774 3.1321  -0.46
C: -0.8365 3.5038 2.0762  -0.90
C: -0.8421 2.4534 1.1821  -0.35
N: -0.0062 1.4104 1.2939  0.68
H: 4.1185 -2.3053 2.6597  0.50
H: 2.4334 -2.6448 0.6803  0.37
H: 1.6577 2.3498 4.0586  0.50
H: 0.0871 4.2852 3.8513  0.47
H: -1.5249 4.3254 1.9453  0.47
H: -1.5288 2.4383 0.3459  0.39
S: -1.9089 0.3916 -1.6558  -0.27
C: -1.5517 -1.2618 -2.0547  0.50
C: -2.2290 -2.0400 -2.9886  -0.86
C: -1.7995 -3.3343 -3.2121  -0.25
C: -0.7040 -3.8342 -2.5001  -0.88
C: -0.0837 -3.0261 -1.5823  -0.22
N: -0.4988 -1.7641 -1.3599  0.40
H: -3.0689 -1.6138 -3.5191  0.52
H: -2.3059 -3.9581 -3.9366  0.45
H: -0.3436 -4.8399 -2.6594  0.48
H: 0.7662 -3.3715 -1.0074  0.36
O: 6.3643 0.7793 1.9425  -0.47
C: 6.6505 1.3036 0.6641  -0.50
N: 5.5245 0.9442 -0.1632  -0.15
C: 4.9365 1.8005 -1.0321  0.01
O: 5.3152 2.9237 -1.2728  -0.58
C: 3.6898 1.2507 -1.6863  0.04
C: 3.5486 1.1546 -3.0658  -0.14
C: 2.3226 0.7436 -3.5655  -1.16
C: 1.3028 0.4236 -2.6911  -0.17
N: 1.4370 0.4888 -1.3543  0.71
C: 2.6189 0.9304 -0.8806  -0.56
H: 7.1307 0.9001 2.5113  0.29
H: 7.5734 0.8777 0.2590  0.35
H: 6.7334 2.3913 0.6594  0.37
H: 5.1667 0.0112 -0.0345  0.25
H: 4.3729 1.4003 -3.7227  0.56
H: 2.1397 0.6845 -4.6288  0.45
H: 0.3430 0.1230 -3.0828  0.42
H: 2.7071 1.0427 0.1887  0.78
Br: -5.4659 -2.1858 1.1065  -0.11
C: -3.6650 -2.1988 1.6517  -0.58
C: -3.2112 -3.0317 2.6632  -0.03
C: -1.8705 -2.9565 3.0063  -1.01
C: -1.0339 -2.0985 2.3233  -0.33
N: -1.4654 -1.3093 1.3182  0.32
C: -2.7745 -1.3505 1.0163  -0.21
H: -3.8841 -3.7060 3.1756  0.50
H: -1.4688 -3.5676 3.8019  0.49
H: 0.0101 -2.0301 2.5852  0.61
H: -3.1429 -0.6826 0.2530  0.65

Cartesian forces, eV/Å:
Tc -0.065 0.844 0.499
S -0.102 -0.064 -0.209
C 0.064 0.167 0.206
C -0.099 -0.057 -0.261
C 0.011 -0.136 0.015
C -0.102 -0.302 -0.248
C 0.029 0.086 0.133
C -0.026 -0.061 -0.098
C -0.009 -0.047 -0.054
C 0.057 -0.020 0.044
C -0.120 0.112 -0.074
N -0.151 0.123 -0.074
H -0.023 -0.008 -0.012
H 0.076 -0.015 0.065
H -0.012 0.039 0.019
H 0.024 -0.006 0.003
H -0.012 -0.013 -0.017
H 0.012 -0.026 0.011
S 0.413 0.168 0.504
C 0.043 -0.092 -0.012
C 0.029 -0.102 -0.040
C 0.038 0.143 0.104
C 0.003 -0.009 0.000
C 0.155 -0.195 0.074
N -0.277 -0.566 -0.607
H 0.004 -0.004 -0.005
H -0.007 0.004 -0.001
H 0.006 0.009 0.002
H -0.032 0.037 0.025
O -0.137 -0.026 0.058
C 0.133 0.143 -0.123
N 0.023 0.006 0.128
C 0.006 -0.060 0.042
O 0.004 -0.073 -0.083
C -0.067 0.128 -0.010
C -0.087 -0.020 0.092
C 0.079 0.075 0.059
C -0.065 -0.042 -0.207
N 0.122 0.020 -0.069
C 0.022 -0.002 0.089
'''

To-date, over 130 journalists are being detained, dozens of media outlets closed, tens of thousands of public servants arrested and jailed, hundreds of academics dismissed, thousands of teachers and policemen suspended from duty[2] .

EuroMed rights is adamant that this wide-encompassing repression against legal and peaceful opponents does not serve a peaceful resolution to the Kurdish conflict but on the contrary constitutes an aggravating factor that fuels violence, as exemplified by the renewed attack on Nov 4 by Kurdistan Freedoms Falcon (TAK) [it claimed responsibility on 6 November] on Diyarbakir Anti-Terror and Riot Squad buildings, killing 9 people and leaving more than a hundred injured.

We call on the EU authorities and all its Member States, and human rights bodies within the EU to sustain a strong public stance by actual deeds and stop bargaining Turkey’s people’s lives and rights in the name of security and border controls. We also call on the EU to further condition its cooperation with Turkish authorities on the return to the rule of law and peace negotiations with the Kurds’ own chosen representatives.

We, furthermore, call on the UN HRC, the High Commissioner for Human rights and the Special Rapporteurs to strongly condemn the current Turkish policies and call on Turkish authorities to abide by their international obligations.

[1] Selahattin Demirtas, Figen Yüksekdag, İdris Balüken, Leyla Birlik, Selma Irmak, Nursel Aydogan, Gülser Yıldırım, and Ferhat Encü were detained and are in different prisons now. Ziya Pir, Sırrı Süreyya Önder, and İmam Taşçıer were released on judicial control conditions.
[2] For details on the full magnitude of the crackdown read EuroMed Rights factsheet ‘Turkey: A safe country?’ and our member IHD’s factsheet on violations since the failed coup and imposition of state of emergency.